
Chpt #48

As soon as Nancy wanted to step out from the office, Chairman Gu came in.

Fanny reported what happen today to Chairman Gu.

"Just nice you are here. I give you 2 choices. Its either you resign or you take a break for 1 month, no pay and we will transfer you to other hotel!" Chairman Gu raised his voice.

"Grandfather! She is my staff and i have every right to punish her the way i want!" Ryan screamed.

"Ryan Gu! This is workplace and you are supposed to call me Chairman! This one mistake she caused if not for Fanny, things might go haywire!" Chairman Gu screamed back at Ryan.

Nancy who hated arguments softly reply…"Fine…I'll resign instead" Nancy threw her work pass and went to her desk to pack her things.

Chairman Gu and Ryan was still debating in the room and Nancy quickly tried to clear her desk.

Ryan ran out to stop Nancy.

"Nancy stop I'll handle this. Don't leave"

Nancy who continues to pack her things.

Ryan holds on to her arm to stop her.

"RYAN GU! WHAT ESLE TO YOU WANT FROM ME!!" Nancy threw everything that is on her hand and took her bag and left instead.

Ryan continue to grab hold of her and Nancy stops. Nancy was filled with anger and tears.

She took a deep breath, turns, pull out her necklace and throw it by the side "let's break up"

Ryan who was in shocked let's go of her hand and Nancy ran off bumping into Ricky and Alice.

Ricky and Alice was in shocked and tried to understand what just happened. Soon after both of them chased after Nancy.

== Misplaced calculated molecules ==
-- begin --
(1)
{
  "formula": "C4H7NO2",
  "method": "ωB97M-V/def2-TZVPD",
  "elements": ["C", "C", "C", "O", "C", "N", "O", "H", "H", "H", "H", "H", "H", "H"],
  "positions_angstrom": [[0.736, 0.258, 1.853], [-0.134, 0.156, 0.550], [0.665, 0.788, -0.510], [1.847, 0.567, -0.638], [-0.386, -1.008, -0.742], [-1.478, -0.644, -1.528], [0.281, -1.977, -0.989], [1.416, -0.579, 1.969], [1.387, 1.146, 1.752], [0.172, 0.416, 2.785], [-1.153, 0.503, 0.740], [0.064, 1.397, -1.197], [-1.670, 0.308, -1.821], [-1.748, -1.331, -2.224]],
  "lumo_ev": 0.493,
  "orbital_gap_ev": 10.07,
  "homo_ha": -0.352,
  "smiles": "C[C@@H](C=O)C(N)=O",
  "total_energy_ha": -361.79049
}

---

(2)
{
  "formula": "C4H7NO2",
  "method": "ωB97M-V/def2-TZVPD",
  "elements": ["C", "C", "N", "O", "C", "C", "O", "H", "H", "H", "H", "H", "H", "H"],
  "positions_angstrom": [[-1.765, 0.020, 0.030], [-0.313, -0.298, -0.348], [0.134, 0.308, -1.540], [-0.028, -1.629, -0.081], [0.722, -0.789, 0.782], [2.192, 0.918, 0.129], [2.586, 1.336, 1.110], [-1.845, 0.035, 1.117], [-2.149, 0.969, -0.365], [-2.430, -0.780, -0.328], [-0.359, 1.177, -1.730], [0.367, -0.622, 1.805], [1.765, -1.168, 0.840], [1.123, 0.525, -1.421]],
  "lumo_ev": 0.783,
  "orbital_gap_ev": 9.85,
  "homo_ha": -0.333,
  "total_energy_ha": -361.75365
}

---

(3)
{
  "formula": "C4H7NO2",
  "method": "ωB97M-V/def2-TZVPD",
  "elements": ["C", "C", "C", "N", "C", "O", "O", "H", "H", "H", "H", "H", "H", "H"],
  "positions_angstrom": [[1.620, -0.341, 0.245], [0.382, -0.766, -1.012], [-0.366, -0.163, 0.942], [-1.303, 0.615, 0.239], [-1.270, 0.868, -1.106], [-2.013, 1.564, -1.737], [-0.176, 0.250, -1.670], [2.023, 0.572, -0.190], [2.197, -1.187, -0.112], [1.880, -0.282, 1.317], [-0.306, -1.565, -0.725], [-0.026, 0.368, 1.833], [-0.714, -1.155, 1.229], [-1.926, 1.223, 0.747]],
  "lumo_ev": [0.425, 0.425],
  "orbital_gap_ev": [8.42, 8.42],
  "homo_ha": [-0.294, -0.294],
  "total_energy_ha": -361.65668
}

---

(4)
{
  "formula": "C4H7NO2",
  "method": "ωB97M-V/def2-TZVPD",
  "elements": ["H", "N", "C", "C", "O", "C", "C", "O", "H", "H", "H", "H", "H", "H"],
  "positions_angstrom": [[-0.766, -2.229, -2.041], [-0.701, -1.244, -2.299], [-0.510, -0.527, -1.282], [-0.371, 0.977, -1.272], [-0.040, 1.296, 0.064], [-0.224, 0.157, 0.873], [0.985, -0.055, 1.749], [-0.390, -0.959, -0.002], [0.431, 1.304, -1.939], [-1.307, 1.456, -1.586], [-1.149, 0.251, 1.459], [0.864, -0.953, 2.362], [1.125, 0.809, 2.403], [1.867, -0.165, 1.111]],
  "lumo_ev": 0.918,
  "orbital_gap_ev": 11.14,
  "homo_ha": -0.376,
  "smiles": "[H]/N=C1/CO[C@H](C)O1",
  "total_energy_ha": -361.83912
}

---

(5)
{
  "formula": "C4H7NO2",
  "method": "ωB97M-V/def2-TZVPD",
  "elements": ["H", "N", "C", "C", "O", "C", "C", "O", "H", "H", "H", "H", "H", "H"],
-- stop --

Nancy cried and ran off towards the road without even looking if there's car.

A silver car honked at her and Nancy stops in shock. The car didn't manage to stop on time and hits her instead. Ricky and Alice saw what happened and the driver quickly calls the ambulance.

Alice went towards Nancy to see the situation while Ricky ran back up to tell Ryan.

"Are you happen now Chairman Gu? She left. What else do you want?" Ryan was disappointed in himself.

"Marry Fanny" Chairman Gu firmly replied.

"Can't you see the person i love is only Nancy?!" Ryan cried and pleaded Chairman Gu.

"Mr Gu!!" Ricky panted and shouted Ryan's name.


"WHAT IS WRONG WITH HER!?" Ryan panic.

"She got into an accident" Ricky finally say it out.

Ryan pushed him away and ran down.

Chairman Gu was shocked and guilty as that is not what he expected.

Ryan manage to get into the ambulance on time. Ryan cried and keep holding on to Nancy hands.

Alice who was with them felt the love they had for each other.

"You will definitely get well" Ryan kissed her hand and whispered.